I should be able to raise my MMR playing solo. Hence the solo MMR and the party MMR.
Yeah, theoretically you should be able to, but my point is it's easier to win games when you have other people to coordinate with.
In my opinion they should just make solo players only play with other solo players. Solo Q is so dumb when you get matched up against stacks. If you're going to implement two different MMRs, then why not keep them separate as well?
I don't mind the stacks, I mind the people who queue USW/USE that don't speak/understand a lick of EnglishAlways on my team, never on the other it seems like.
Not saying they are bad players, but it is impossible to communicate clearly to setup plays when they don't speak the language of the server they are on.
What are some guidelines to leveling up Storm Early? I mixed remnant first last game, then overload and then maxed vortex, but I didn't feel useful until I was like level 14. Also I really suck on last hitting as storm, slightly more then other mids. I swear I have no actually "won" mid once this year.
What are some guidelines to leveling up Storm Early? I maxed remnant first last game, then overload and then maxed vortex, but I didn't feel useful until I was like level 14. Also I really suck on last hitting as storm, slightly more then other mids. I swear I have not actually "won" mid once this year.
So I did the EE build, great. At least EE's cheeky teleport move is useful. Used it twice, along with denying my self to neutrals twice, enemies likely were mad.
Also, I held off on the 2nd level of my ult until 14, because I was really being crushed in the early and mid game (I as like 2/6 working on a Drum). I feel that actually helped a good amount.
1-1-3: Heavy damage. Going for early aggression and harass. Good against squishy targets that can't escape easily. You can Overload an attack while its in the air (start attack, then remnant), so it's useful for surprise damage.
1-3-1: Lockdown. The damage output of this build isn't so great but you get a much more reliable stun. Works well when you have a partner coming to gank, or if your target can get away easily if they're not shut down such as QoP.
3-1-1: Clowny ass EE build, focused on flash farming with Remnant damage.
You don't go Drum on Storm.
Treads -> Orchid -> Bloodstone/Scythe
BKB if you need it.
Bloodstone is very poor on him, because it doesn't really provide any damage whatsoever which is what he needs most of all during 1-11. It is good, however, at snowballing so if you have an amazing start or something you could Bloodstone but Orchid's is generally safer.
EDIT: You're supposed to kill them before they kill you!
Last hitting on Storm is suffering yes.
Here, check out my sicknasty Storm: 578266004
Last hitting on Storm is suffering yes.
Here, check out my sicknasty Storm: 578266004
YesDoes BKB dispel empower?
"Hey guys I can win in smurf potato league with storm! look at my stats!"
This fuckin haly
Any tips for Gyro? Played him today and felt sort of lost.
1.How should I use my skills in a fight?
2.What's the reasoning behind the popular item builds?
[Between two parts of the text: molecular data]
{"formula": "C2H3ClN2O3", "method": "ωB97M-V/def2-TZVPD", "e_homo_ev": -10.569, "max_force_ev_per_a": 4.1, "orbital_gap_ev": 9.33, "e_above_lowest_kcal_mol": 84.1, "species": ["C", "C", "Cl", "N", "O", "N", "O", "O", "H", "H", "H"], "xyz": [[-1.27518, -0.28261, -0.10230], [0.24551, -0.28235, -0.03982], [0.98564, -1.44267, 1.14990], [0.72332, -0.23335, -1.31886], [1.19167, -1.26066, -1.74264], [0.83303, 1.16101, 0.60879], [-0.05484, 1.93285, 0.91551], [1.97424, 1.19453, 0.84827], [-1.64619, -1.11068, 0.48331], [-1.53772, -0.33554, -1.14730], [-1.43948, 0.65946, 0.34514]], "atomic_forces_ev_per_a": [[1.610, -0.688, 0.044], [0.256, 0.478, 4.039], [-0.606, 0.152, -1.033], [1.618, -1.280, -2.953], [-0.054, 0.738, 0.002], [-3.825, -1.462, -0.080], [0.922, 0.418, -0.186], [2.114, 0.581, -0.009], [-0.213, -0.067, -0.006], [-0.542, 0.108, -0.124], [-1.282, 1.024, 0.305]]}

* * * * *

(1)
This record from the OMol25 dataset describes a cluster of 5 separate species, C29H37FN2O5PS in total. The level of theory is ωB97M-V/def2-TZVPD.

Values from the calculation:
E_LUMO   -4.50 eV
Frontier orbital gap   6.121 eV
Calculated total energy   -66720.259 eV
HOMO energy   -10.623 eV
Spin multiplicity   1
Net charge   +1

Last column: Löwdin charge in e.
Cartesian coordinates (Å):
C  -0.18880  1.30012  2.55233  -0.114
S  -1.14213  2.62710  1.63738  0.842
O  -2.58276  2.06957  1.37972  -0.333
O  -1.33050  3.81871  2.65256  -0.325
N  -0.35662  3.25924  0.21255  -0.164
C  1.05430  2.76731  -0.01909  -0.100
C  1.18151  1.42282  -0.94786  -0.175
N  -0.09519  0.62876  -1.11091  -0.207
P  0.20793  -0.45000  -2.53788  0.740
O  1.41046  -1.45500  -2.30687  -0.330
O  -1.23273  -1.43253  -2.87689  -0.169
O  0.53994  0.42259  -4.00975  -0.199
C  -1.27861  1.48358  -1.50517  -0.156
C  -1.17236  3.05908  -1.05065  -0.166
F  -0.50646  3.83789  -2.12272  -0.014
H  -0.19336  0.24254  2.05164  0.112
H  -0.69068  1.19019  3.62977  0.125
H  0.92298  1.66353  2.77665  0.107
H  -0.28398  4.31160  0.35413  0.206
H  1.68956  2.63519  0.98125  0.156
H  1.61433  3.64021  -0.61087  0.177
H  1.56141  1.77784  -2.01732  0.129
H  2.00547  0.64886  -0.57010  0.164
H  -1.93924  -1.21237  -2.18462  0.097
H  1.46740  0.84937  -3.98803  0.119
H  -1.44282  1.48717  -2.68567  0.149
H  -2.31169  1.08093  -1.06243  0.151
H  -2.28086  3.47695  -0.91268  0.207
C  6.77568  -4.02910  -2.81439  -0.097
C  6.28795  -3.88259  -1.51615  -0.101
C  4.96064  -3.50935  -1.30697  -0.101
C  4.11758  -3.29204  -2.39717  -0.099
C  4.60437  -3.44223  -3.69538  -0.092
C  5.93423  -3.80642  -3.90462  -0.095
H  7.81110  -4.31667  -2.97705  0.101
H  6.94310  -4.05865  -0.66664  0.099
H  4.58274  -3.38875  -0.29536  0.095
H  3.08185  -3.00594  -2.23430  0.065
H  3.94679  -3.27442  -4.54484  0.095
H  6.31459  -3.91795  -4.91619  0.101
C  -0.27330  1.68803  6.89053  -0.111
C  0.77292  1.13707  7.62987  -0.092
C  1.92180  1.88701  7.87985  -0.087
C  2.02034  3.19275  7.39834  -0.090
C  0.97249  3.74498  6.66219  -0.098
3.Why is MKB mentioned so much for gyro?
what your post amounts to, haly, is: the problem lies with the ranking, not the game balance. that's ok. it has to be one or the other though.
also, even though i understand there's a history behind how the game got here, what matters is the present, not what happened when dota was a wc3 mod people played on 56k. i mean, as long as people realize this isn't ok and needs to be fixed, it's a start. accepting something faulty because it was "always like that" is not something i can agree with, however
either way, i don't really see how this can be debatable. if 2/5 positions aren't viable for climbing the ladder, then something is wrong, like i said, with either the game itself or the system used to grade the players. whatever historical reasons behind this are irrelevant to me because i'm playing this game today
edit: assuming people playing 4/5 can't climb. which is the premise here. it's possible he could do it with position 5 heroes too. who knows. i've seen that opinion posted often though. and even professional players have expressed it in the past
EDIT: Here is a link to Pro's 5k MMR ranked game: http://dotabuff.com/matches/572729119
You can tell it's high level from Earthshaker's future build.
1v1 sidelane against a windrunner is no fun man
Well he's gotta learn somehow, a few bot games won't teach you anything. You're gonna have to go offlane and feed cause its youre first time but damn it you will LEARNDon't play Phoenix if you don't know how, lol.
Ok ill try this out
1.Ult to initiate when they bunch up
Use missile on a fleeing enemy/their carry if he has no BKB
Rocket Barrage if youre 1v1 because it does broken ammounts of damage
Stand back and Falk Cannon for massive AOE damage
2. Gyro needs survivability and damage. Flak Cannon is one of the strongest late game abilities if you have enough farm, because you can do 1000+ damage to every enemy in 5 attacks. This is why you see Helm of the Dominator + MKB/Rapier on Gyro
3. MKB is easily one of the best items for Gyro. As I said before, his Flak Cannon is his bread and butter.
Flak Cannon lets 6 of your attacks hit every enemy in a 1000 radius
So even if you are attacking an enemy in front of you, everything next to and behind you will still take damage. MKB is one of the highest damage items in the game, and Gyro needs damage to do anything if note
Lastly, never ever buy Shadow Blade on Gyro. It just delays your damage items. Aghs is SUPER situational as well, as its only good for spamming your ult to push the lanes
Dual offlane kill lane or mid, yes.Well he's gotta learn somehow, a few bot games won't teach you anything. You're gonna have to go offlane and feed cause its youre first time but damn it you will LEARN
Well he's gotta learn somehow, a few bot games won't teach you anything. You're gonna have to go offlane and feed cause its youre first time but damn it you will LEARN
EDIT: Here is a link to Pro's 5k MMR ranked game: http://dotabuff.com/matches/572729119
You can tell it's high level from Earthshaker's future build.
Man TB is squishy as shit early
It was vs Slardar Veno so it wasn't as easy :[That's why you put him in a safe lane and let your support use a stun or disable a hero and just tear shit up while in Meta. He deals the most attack damage of any hero in the game early on.
Easy kill at lvl 2 as well using his Q.
It's actually in the top 3 damage items (only Abyssal Blade and Rapier are higher).I thought MKB was primarily a counter to evasion from butterfly/PA/Void, not a damage item, the more you know I guess.
It's actually in the top 3 damage items (only Abyssal Blade and Rapier are higher).
Isn't the main reason you get MKB over daedalus on Gyro that the true shot works for all flak shots (and thus being great for attacking the base) vs the crit only working on the "main" attack?
Isn't the main reason you get MKB over daedalus on Gyro that the true shot works for all flak shots (and thus being great for attacking the base) vs the crit only working on the "main" attack?
Also you still get higher damage per bullet with an mkb.
Whoops, i actually read that as mkb in general, not on Gyro which makes a lot more sense. Still worth noting that for some reason (wc3) truestrike doesn't work on buildings so even if you have mkb you're gonna miss some attacks on the t3s from the low ground.
Damn, these inconsistencies and changes make me dizzy.
Apparently evasion works against flak cannon aoe bullets in dota 2, therefore MKB is a good choice against evasion as you can't just shoot at another target like in dota 1.
And I know that MKB used to work against buildings in dota 2, but I thought they changed that?
Damn, these inconsistencies and changes make me dizzy.
go back to lol you scrub